
Lindy Conant-Cofer: We Are All Missionaries

by Jen Rose Yokel

For worship leader Lindy Conant-Cofer, everything begins and ends on the mission field. When you talk to her about spreading the gospel, she lights up with excitement. She brings over a decade of experience working with YWAM and campus ministries into everything she does, and the music she makes with her band The Circuit Riders grows from one simple mission: “Everyone deserves the opportunity to know who Jesus is and what he did for us… We’re all ambassadors of Christ carrying his glory, carrying his light.”

# Misplaced crystal structures
# 1
Structure and calculated powder X-ray diffraction pattern of MgCd4In (DFT lattice parameters and positions (GGA-PBE); copper Kα).
Lines closer than 0.1° are merged.

Most intense lines, 2θ from 10° to 90°, by angle:
- (1 1 0), 2θ 34.24, rel. 100
- (1 0 3), 2θ 34.90, rel. 31
- (0 1 3), 2θ 39.65, rel. 43
- (2 0 0), 2θ 40.50, rel. 21
- (0 2 0), 2θ 56.90, rel. 7
- (2 1 -3), 2θ 57.52, rel. 14
- (2 1 3), 2θ 58.42, rel. 13
- (1 2 -3), 2θ 68.10, rel. 8
- (1 2 3), 2θ 68.50, rel. 16
- (3 0 -3), 2θ 69.28, rel. 11
- (3 1 0), 2θ 69.67, rel. 8
- (2 2 0), 2θ 72.14, rel. 10

Structural model:
a = 4.4557 Å, b = 3.2367 Å, c = 9.5794 Å
α = 90.00°, β = 91.14°, γ = 90.00°
Space group P2/m (No. 10)
Asymmetric unit:
1 Mg 0.0000 0.0000 0.0000 [1 per cell]
2 Cd 0.0007 0.0000 0.3223 [2 per cell]
3 Cd 0.4986 0.5000 0.8401 [2 per cell]
4 In 0.5000 0.5000 0.5000 [1 per cell]



# 2
Structure and calculated powder X-ray diffraction pattern of Mg3H2Ir3 (DFT lattice parameters and positions (GGA-PBE); copper Kα).
Lines closer than 0.1° are merged.

Most intense lines, 2θ from 10° to 90°, by angle:
- (2 0 -1), 2θ 22.37, rel. 24
- (2 0 1), 2θ 23.07, rel. 100
- (1 1 0), 2θ 30.48, rel. 44
- (4 0 -1), 2θ 31.18, rel. 28
- (6 0 0), 2θ 38.26, rel. 70
- (3 1 -1), 2θ 40.19, rel. 80
- (3 1 1), 2θ 40.82, rel. 73
- (5 1 0), 2θ 44.05, rel. 29
- (1 1 -2), 2θ 49.52, rel. 26
- (5 1 2), 2θ 60.53, rel. 16
- (9 1 -1), 2θ 70.02, rel. 17
- (6 2 0), 2θ 75.14, rel. 20

Structural model:
a = 14.1273 Å, b = 2.9986 Å, c = 4.7052 Å
α = 90.00°, β = 91.89°, γ = 90.00°
Space group Cm (No. 8)
Asymmetric unit:
1 Mg 0.0000 0.0000 0.0000 [2 per cell]
2 Mg 0.1515 0.0000 0.5588 [2 per cell]
3 Mg 0.3208 0.0000 0.1424 [2 per cell]
4 H 0.0713 0.5000 0.2909 [2 per cell]
5 H 0.2381 0.5000 0.3518 [2 per cell]
6 Ir 0.1643 0.5000 0.0407 [2 per cell]
7 Ir 0.3253 0.5000 0.6626 [2 per cell]
8 Ir 0.4725 0.0000 0.5079 [2 per cell]



# 3
Structure and calculated powder X-ray diffraction pattern of HgI2O6 (DFT lattice parameters and positions (GGA-PBE); copper Kα).
Lines closer than 0.1° are merged.

Most intense lines, 2θ from 10° to 90°, by angle:
- (1 1 0), 2θ 24.02, rel. 77
- (2 0 -2), 2θ 24.34, rel. 100
- (2 0 1), 2θ 26.27, rel. 71
- (1 1 1), 2θ 28.58, rel. 77
- (1 1 -2), 2θ 31.52, rel. 26
- (3 1 -1), 2θ 34.68, rel. 52
- (4 0 -1), 2θ 35.60, rel. 22
- (0 0 3), 2θ 36.61, rel. 36
- (1 1 -3), 2θ 40.87, rel. 26
- (0 2 0), 2θ 44.91, rel. 26
- (2 2 -2), 2θ 51.73, rel. 25
- (5 1 0), 2θ 54.12, rel. 25

Structural model:
a = 10.1159 Å, b = 4.0371 Å, c = 7.9829 Å
α = 90.00°, β = 112.72°, γ = 90.00°
Space group C2/m (No. 12)
Asymmetric unit:
1 Hg 0.0000 0.0000 0.0000 [2 per cell]
2 I 0.1957 0.0000 0.6810 [4 per cell]
3 O 0.0310 0.0000 0.7274 [4 per cell]
4 O 0.1583 0.5000 0.0907 [4 per cell]
5 O 0.2067 0.5000 0.6577 [4 per cell]



# 4
Structure and calculated powder X-ray diffraction pattern of LaSmY2Ho2 (DFT lattice parameters and positions (GGA-PBE); copper Kα).
Lines closer than 0.1° are merged.

Conant-Cofer first experienced the call to missions when she found herself searching for God in 2007 and taking a gap year to explore the possibility of becoming a missionary. A little Google searching led her to YWAM, and in their training program she encountered the love of God in a whole new way. “It was like the blinders came off my eyes and I finally understood how much God loved me, how real the love of Jesus is… I finally understood evangelism.” Emboldened with a new passion for missions, she made her way to Kona, Hawaii where she served with YWAM for four and half years, and eventually landed in Southern California, where she and her husband now run a discipleship school and outreaches to college campuses.

The music part of the story happened by accident.

“We were doing campus outreaches and we all sing together,” she explains. “And between YWAM, Kona and college campuses, people were like ‘Where can we get your music?’ and we’re like, ‘Nowhere!’ So we finally did our first album Every Nation and it was so fun to watch people’s response to these songs that were birthed on college campuses.” This debut album highlighted a decade’s worth of YWAM anthems, songs about going out into the world to serve and share Jesus’ love.

If Every Nation was the album about the mission, Conant-Cofer would say their new album Driven by Love, is about the meaning behind it, the “why” to their debut’s “what.” Songs like “Obedience” and “Driven by Love” emphasize that spark of passion that she felt in missions school, and the compelling love of God that births the desire to see people reached.

• Next to the text, the page also holds crystal structures:
-- begin --
Diffraction record for HfAl3Ni12. The X-ray powder pattern is theoretical, not measured: it uses a structure optimized by DFT (GGA-PBE) and a wavelength of 1.5418 Å.
Neutral-atom scattering factors, no anomalous dispersion.

Most intense lines, 2θ = 10–90°, by angle:
d = 7.136 Å, 2θ = 12.40°, I 8; d = 3.510 Å, 2θ = 25.38°, I 9; d = 2.080 Å, 2θ = 43.50°, I 100; d = 1.811 Å, 2θ = 50.40°, I 32; d = 1.784 Å, 2θ = 51.20°, I 15; d = 1.280 Å, 2θ = 74.05°, I 10; d = 1.271 Å, 2θ = 74.69°, I 18; d = 1.090 Å, 2θ = 89.99°, I 23

Cell and atoms:
a = 3.6212 Å, b = 3.6212 Å, c = 14.2730 Å
α = 90.00°, β = 90.00°, γ = 90.00°
Space group P4/mmm (No. 123)
Unique sites:
Hf (0.0000, 0.0000, 0.0000) x1
Al (0.0000, 0.0000, 0.2552) x2
Al (0.0000, 0.0000, 0.5000) x1
Ni (0.0000, 0.5000, 0.1332) x4
Ni (0.0000, 0.5000, 0.3769) x4
Ni (0.5000, 0.5000, 0.0000) x1
Ni (0.5000, 0.5000, 0.2550) x2
Ni (0.5000, 0.5000, 0.5000) x1



Diffraction record for HfAl2O5. The X-ray powder pattern is theoretical, not measured: it uses a structure optimized by DFT (GGA-PBE) and a wavelength of 1.5418 Å.
Neutral-atom scattering factors, no anomalous dispersion.

Most intense lines, 2θ = 10–90°, by angle:
d = 5.144 Å, 2θ = 17.24°, I 43; d = 4.804 Å, 2θ = 18.47°, I 60; d = 4.353 Å, 2θ = 20.40°, I 49; d = 3.511 Å, 2θ = 25.37°, I 39; d = 3.423 Å, 2θ = 26.03°, I 42; d = 3.248 Å, 2θ = 27.46°, I 100; d = 2.791 Å, 2θ = 32.07°, I 42; d = 2.423 Å, 2θ = 37.11°, I 41

Cell and atoms:
a = 3.6640 Å, b = 9.6076 Å, c = 10.2882 Å
α = 90.00°, β = 90.00°, γ = 90.00°
Space group Cmcm (No. 63)
Unique sites:
Hf (0.0000, 0.1872, 0.2500) x4
Al (0.0000, 0.1369, 0.5474) x8
O (0.0000, 0.0400, 0.1131) x8
O (0.0000, 0.2249, 0.7500) x4
O (0.0000, 0.3095, 0.0627) x8

=====

Computed powder X-ray diffraction pattern of MgZn2Br6 for Cu Kα, from a cell relaxed with GGA-PBE.
Neutral-atom scattering factors, no anomalous dispersion.

a = 10.1464 Å, b = 10.1464 Å, c = 6.7691 Å
α = 106.65°, β = 106.65°, γ = 91.60°
Positions (direct):
Mg1 0.2144 0.7856 0.7500
Mg2 0.7856 0.2144 0.2500
Zn1 0.1978 0.3533 0.6362
Zn2 0.3533 0.1978 0.1362
Zn3 0.6467 0.8022 0.8638
Zn4 0.8022 0.6467 0.3638
Br1 0.0161 0.7903 0.4235
Br2 0.1880 0.5807 0.8826
Br3 0.2097 0.9839 0.0765
Br4 0.2411 0.3875 0.3171
Br5 0.3875 0.2411 0.8171
Br6 0.4193 0.8120 0.6174
Br7 0.5807 0.1880 0.3826
Br8 0.6125 0.7589 0.1829
Br9 0.7589 0.6125 0.6829
Br10 0.7903 0.0161 0.9235
Br11 0.8120 0.4193 0.1174
Br12 0.9839 0.2097 0.5765

Most intense lines, 5° ≤ 2θ ≤ 70°, in order of rising 2θ:
13.7 deg, intensity 26
18.4 deg, intensity 39
21.6 deg, intensity 36
26.0 deg, intensity 100
26.4 deg, intensity 51
28.2 deg, intensity 34
47.1 deg, intensity 26
47.6 deg, intensity 24

=====

Theoretical powder XRD pattern of PrZn2Ag for Cu Kα (λ = 1.5418 Å), from a crystal structure in OQMD, relaxed with PBE.

Main lines, by intensity (2θ from 10° to 90°):
2θ/deg	I/Imax	(hkl)
35.2	100	1 1 3
33.2	97	2 1 1
40.1	52	0 2 0
41.6	26	2 1 3
37.1	25	1 0 4
41.8	24	3 0 2
38.9	23	3 0 1
69.7	22	1 3 3
-- stop --
• Here the text continues:

So it’s no coincidence that her band name carries a nod to the original traveling ministers. When considering the role of music in missionary work, Conant-Cofer looks to a historic example. “John Wesley was a circuit rider along with his brother Charles Wesley. One of them would preach and one of them would literally put the other’s sermons into songs, because songs have the ability to infuse the heart in a very unique way.” Songs sometimes put words to the feelings people experience, give voice to what their hearts need to sing. And from her perspective, the future of worship music and evangelism is stunningly bright.

“Not only are amazing worship songs about to get written by people across the world, but I believe we’re about to see songs that disciple people and influence culture. You think about all the old hymns… they’re rich, they bring conviction and bring you to a deep revelation of God. I think we’re gonna see an increase in creativity and authenticity. I’m excited to see what God’s gonna do with music in the next decade.

As for the mission field that first compelled her? She believes it’s even closer than we may think. “For so long we thought missionary means I gotta get on a plane and go to Africa, but God might be calling you to minister to your neighbor. God might be calling you to reach people in your work space. In one sense, I actually do believe we are all missionaries.”